Asking God to let it rain, spiritually speaking, has always rubbed me wrong. Oh, I have no problem asking God for literal rain when our garden needs it or there’s a yellow layer of pollen on my car and we can’t stop sneezing. But asking for spiritual rain?? No thank you. I’ve always related it to asking for hardship or loss. I’ve had enough of that so why would I ask for more?? Can’t God do His work in and around me without it having to hurt? But this morning He woke me up at 3:30 to show me a whole different perspective on it. Rain is a good thing, a beneficial thing. Hear me out before saying “I don’t need more rain and closing the page.”
In James 5:7-8 God tells us “Therefore be patient, brethren, until the coming of the Lord. See how the farmer waits for the precious fruit of the earth, waiting patiently for it until it receives the early and latter rain. You also be patient. Establish your hearts, for the coming of the Lord is at hand.”
I’ve been singing along with a song lately on my playlist, asking Jesus to come because there is so much evil in the world. I’ve also been praying for certain things He has led me to battle for spiritually using His Word as the Sword of the Spirit. Big things, important things. Things for people who are not only precious to me but even more so to Him. I feel like there are certain things that He has determined to do that He’s asked me to join Him in, to come and see, that have yet to come to pass. In His grace and goodness, He has invited me to join Him, and I am getting to see Him working. I know He’s working, partly because I know that He is faithful to do what He says He will do, and partly because He is faithful to sometimes reveal pieces of it to me, in His time, as He sees fit. Some of these things I have been praying over for the better part of 2 years, some for 10, some for 30+. However, whether He chooses to show me or not, I know that He is working, so I refuse to give up the fight, to lay down my weapons (prayer & the Word of God). I know that He is working because His promise is that if I ask for anything according to His will, believing, He will give it. And since His Word is Truth then I know that if I pray His Word over the people and situations He leads me to pray for by His Holy Spirit then I am praying according to His will and He will move.
In James, He shows us how the farmer patiently waits through the early and the latter rains. Seeds must be planted but then they need water to sprout. They also need water to continue growing until they are fully grown and ready to harvest. That takes time.
Some vegetation grows quickly, but some may take 30+ years. Think of a flower verses a tree. Like the farmer, we are called to watch it and tend it, expectantly, patiently waiting for both the early rains, which cause it to sprout, breaking ground and rising to first see the sunlight, and the latter rains, which mature it and ripen it for harvest.
Farming is not easy work. That’s why James tells us to be patient and establish our hearts. That means setting our hearts on Him and His will, trusting Him to do what only He can do. The rain and the harvest have to come from Him. To do that we must set our minds on things above, where He is sitting at the right hand of God, on the things of Him (Colossians 3:2) so that we can keep trusting.
He finishes this passage by telling us that the coming of the Lord is at hand. That is His assurance that He is working!! Because He is faithful and true we know we can trust Him to complete the work He has started (Philippians 1:6). What can be more exciting than being invited by the King and Creator into His work and getting to watch Him carry out His plan?! Our work is praying, trusting and obeying. His work is tearing down the strongholds!
So, keep praying. Keep trusting, patiently. You may have been waiting for Him to water the seeds but it takes time for the harvest to mature. The latter rains are needed and will come, in His time. And His timing is perfect.
The page is interrupted by crystal structures
<<<
This record from Alexandria via LeMat-Bulk describes a relaxed structure of Ac2BeFePt6. The functional is PBE-GGA. Values from VASP.

## Properties
The calculation puts the density of states at the Fermi level at 4.3 states/eV per cell. For the size of the total moment, the calculation gives 0.354 μB/atom. For the formation energy, the calculation gives -743 meV per atom. The value obtained for the total DFT energy (no corrections) is -6.41 eV per atom.

Structure (Quantum ESPRESSO input):
```
&SYSTEM
  ibrav = 0, nat = 10, ntyp = 4
/
ATOMIC_SPECIES
Ac 227.00 Ac.upf
Pt 195.08 Pt.upf
Be 9.01 Be.upf
Fe 55.84 Fe.upf
CELL_PARAMETERS angstrom
-4.036 2.163 4.625
-0.273 -6.484 2.017
1.985 -2.957 5.791
ATOMIC_POSITIONS crystal
Ac 0.287 0.744 0.457
Ac 0.713 0.256 0.543
Pt 0.131 0.254 0.124
Pt 0.750 0.263 0.008
Pt 0.250 0.737 0.992
Pt 0.869 0.746 0.876
Pt 0.750 0.757 0.514
Pt 0.250 0.243 0.486
Be 0.500 0.500 0.000
Fe 0.000 0.000 0.000
```

~~~~~

# CaZrNiGe2 PBE optimized geometry
data_CaZrNiGe2
_chemical_formula_sum 'Ca1 Zr1 Ni1 Ge2'
_symmetry_space_group_name_H-M 'P 1'
_symmetry_Int_Tables_number 1
_cell_length_a 4.662
_cell_length_b 4.662
_cell_length_c 4.914
_cell_angle_alpha 90.00
_cell_angle_beta 90.00
_cell_angle_gamma 90.00
loop_
_symmetry_equiv_pos_as_xyz
'x,y,z'
loop_
_atom_site_label
_atom_site_type_symbol
_atom_site_fract_x
_atom_site_fract_y
_atom_site_fract_z
Ca1 Ca 0.000 0.000 0.000
Zr1 Zr 0.500 0.500 0.000
Ni1 Ni 0.500 0.500 0.500
Ge1 Ge 0.000 0.500 0.500
Ge2 Ge 0.500 0.000 0.500
# - Formation energy: 0.02 eV/atom
# - Space-group type: No. 123
# - Volume: 21.4 Å³ per atom
# - Spin magnetization: 1.36 μB per cell

~~~~~

(1)
A relaxed structure of TmMg4Pd7. Source: Alexandria, functional PBE.

Geometry as POSCAR:
```
TmMg4Pd7
1.0
-1.430 4.087 -2.404
-8.713 -0.063 -0.025
-1.038 4.664 3.445
Tm Mg Pd
1 4 7
direct
0.000 0.000 0.000
0.588 0.230 0.594
0.412 0.770 0.406
0.754 0.663 0.830
0.246 0.337 0.170
0.782 0.916 0.520
0.218 0.084 0.480
0.063 0.667 0.208
0.937 0.333 0.792
0.359 0.528 0.754
0.500 0.000 0.000
0.641 0.472 0.246
```

- ΔE_f: -0.51 eV/atom

(2)
A relaxed structure of Nd12Ho6Tl. Source: Alexandria, functional PBE.

Geometry as POSCAR:
```
Nd12Ho6Tl
1.0
-2.180 4.282 -7.181
3.073 -6.357 -4.980
-7.727 -3.860 -0.211
Nd Ho Tl
12 6 1
direct
0.785 0.537 0.431
0.431 0.785 0.537
0.537 0.431 0.785
0.215 0.463 0.569
0.569 0.215 0.463
0.463 0.569 0.215
0.017 0.180 0.365
0.820 0.635 0.983
0.635 0.983 0.820
0.983 0.820 0.635
0.180 0.365 0.017
0.365 0.017 0.180
0.744 0.900 0.285
0.715 0.256 0.100
0.100 0.715 0.256
0.256 0.100 0.715
0.285 0.744 0.900
0.900 0.285 0.744
0.000 0.000 0.000
```

- ΔE_f: 0.08 eV/atom

(3)
A relaxed structure of AlInAgSn. Source: Alexandria, functional PBE.

Geometry as POSCAR:
```
AlInAgSn
1.0
5.038 0.000 0.000
2.519 4.363 0.000
2.519 1.454 4.114
Al Sn Ag In
1 1 1 1
direct
0.500 0.500 0.500
0.250 0.250 0.250
0.000 0.000 0.000
0.750 0.750 0.750
```

- ΔE_f: 0.19 eV/atom

(4)
>>>
Dance in the rain. Jump in the puddles. Trust Him with a child-like faith that will move mountains, even the biggest ones that are slower to move.